The Mandela story
Richard West
The Editor and several readers of the Spectator have remarked on the ever- increasing number of streets, parks, junior common rooms, bars and racehorses nam- ed after Nelson Mandela, the black Sbuth African prisoner. He has been given an honorary law degree by the University of Lesotho; he was given the Nehru Award by the Indian government; he is a freeman of several towns and boroughs. In May 1973, three scientists at Leeds University discovered a new nuclear particle and called it the 'Mandela Particle', inviting perhaps confusion with mandelic acid, derived from Mandel, the German word for an almond. The name of Mandela is so familiar that many of us no longer remember who he is was or why he is kept for life on Robben Island, the dreaded prison off Capetown. I found that my own memory of the case was sketchy, even although I try to keep up with affairs in South Africa; even though I was actually in Johannesburg during that southern winter of 1964, when Mandela was sentenced, along with others, at the Rivonia trial.
The Rivonia trial was so called because the accused had plotted at a house in the Rivonia suburb of Johannesburg, where some of them were arrested during a raid on 11 July, 1963. It occurred in between the Treason trials of 1956-60, in which all the accused were acquitted, and the trial in 1965 of Bram Fischer, an Afrikaner and head of the South African Communist Par- ty, who had been the defending counsel in both the Treason and the Rivonia trials.
Nelson Mandela was born in 1918 in the Transkei, which now is recognised by South Africa, but nobody else, as an independent state. He is a relative of the Transkei Chief Minister Kaiser Mantazima, now execrated by African nationalists as a stooge of Pretoria. He started work as a mines policeman, then went on to take an external arts degree and to study law at the Universi- ty of Witwatersrand, which was until recently a hotbed of left-wing sentiment, comparable to our own London School of Economics. In 1944, Mandela joined the National Congress Youth League.
When the National Party came to power in 1948, and started to introduce or tighten up the practices of apartheid, the African National Congress became increasingly desperate. More and more channels of pro- test, like demonstrations and strikes, were closed; more and more political activists were imprisoned. A split appeared between the ANC, which favoured a multi-racial struggle, and the Pan Africanist Congress (PAC) which wanted 'Africa for the Africans! and, by implication, the driving out of the whites, Asians and coloureds, or people of mixed race. However, the ANC re- tained the backing of the Left and in par- ticular of the South African Communist Party.
The Rivonia plotters, both those who were tried and those who escaped, included African ANC members and white com- munists; though most of the whites escaped and most of the blacks went to Robben Island. Most of the white Communists were East European Jews who tended to think at that time that the Afrikaners were Nazis.
The raid on Lilliesleaf, the farmhouse in Rivonia, discovered some 250 documents concerned with a plot to destroy the govern- ment by a campaign of violence, first using sabotage, then by an armed insurrection backed by an outside force. Among the documents was one detailing, 'Production requirements: 210,000 hand-grenades; 48,000 anti-personnel mines; 1,500 time devices for bombs; 144 tons of ammonium nitrate; 21.6 tons of aluminium powder and 15 tons of black powder'.
Molecular data from another source follow:
-- begin --
No. 1
# C35H50N8O14S3

C35H50N8O14S3 as an isolated structure at a distorted geometry (ωB97M-V with the def2-TZVPD basis set, the Open Molecules 2025 dataset).

Calculated values
Orbital gap in eV: 8.1302
HOMO level in eV: -7.756

Element x y z (Å)
1 C 7.86804 -11.02410 13.26792
2 N 7.11054 -9.75274 13.34557
3 O 6.27546 -9.54443 12.48574
4 O 7.52891 -8.93639 14.13677
5 H 8.85394 -10.85299 13.68676
6 H 7.96243 -11.32566 12.23155
7 H 7.30011 -11.76322 13.82918
8 C 10.07288 -4.41275 7.62960
9 C 8.83174 -4.53712 6.74298
10 O 8.26943 -5.81693 6.99183
11 S 9.34128 -6.79608 7.70650
12 O 9.59839 -7.98308 6.95604
13 O 9.03775 -6.88022 9.10990
14 O 10.57951 -5.74814 7.51941
15 H 9.86856 -4.23205 8.68637
16 H 10.78182 -3.71110 7.20354
17 H 9.14453 -4.49504 5.69595
18 H 8.06239 -3.77806 6.87628
19 C 16.01129 -12.57122 13.66288
20 C 14.88107 -13.09845 14.56262
21 O 14.29396 -11.89127 14.97600
22 S 15.49027 -10.88655 15.45655
23 O 15.84706 -11.02764 16.83996
24 O 15.21008 -9.58224 14.92739
25 O 16.64772 -11.63836 14.55473
26 H 15.56215 -12.04098 12.82302
27 H 16.67991 -13.32353 13.25563
28 H 15.30164 -13.75830 15.32432
29 H 14.15190 -13.68317 14.00200
30 C 7.21370 -9.99193 7.84348
31 C 6.65406 -9.91868 9.29997
32 O 7.46605 -10.85213 10.04076
33 S 8.68952 -11.41094 9.10246
34 O 8.30594 -12.58743 8.37170
35 O 9.92774 -11.46006 9.81047
36 O 8.58544 -10.11125 8.19348
37 H 6.99294 -9.05568 7.33884
38 H 6.79665 -10.81668 7.27120
39 H 5.61194 -10.23834 9.29628
40 H 6.74955 -8.94890 9.77948
41 N 14.19185 -8.17279 7.29883
42 C 13.12715 -7.33376 7.48210
43 C 13.57908 -6.07571 7.80018
44 C 14.99202 -6.11666 7.70658
45 C 15.31800 -7.43229 7.52269
46 H 14.21561 -9.18000 7.27284
47 H 12.09396 -7.59384 7.33386
48 H 13.01096 -5.18376 7.99963
49 H 15.65744 -5.27518 7.81615
50 H 16.28727 -7.88651 7.41124
51 N 13.43276 -8.43028 10.82457
52 C 13.92591 -9.28242 11.77767
53 C 12.88509 -9.97675 12.36460
54 C 11.68678 -9.46840 11.74705
55 C 12.07459 -8.55094 10.82475
56 H 13.98354 -7.87273 10.18952
57 H 14.96855 -9.23249 12.04718
58 H 12.97363 -10.79990 13.05349
59 H 10.69656 -9.74338 12.06716
60 H 11.48445 -7.91327 10.18124
61 N 18.79750 -8.39771 9.43856
62 C 18.93225 -8.37220 10.81671
63 C 17.84645 -9.03365 11.30867
64 C 17.09182 -9.55618 10.23282
65 C 17.77953 -9.25238 9.08310
66 H 19.42578 -8.06517 8.72905
67 H 19.64496 -7.71728 11.28536
68 H 17.51468 -9.13596 12.32984
69 H 16.21958 -10.18902 10.23706
70 H 17.60039 -9.54311 8.06277
71 N 12.60291 -10.51578 8.47958
72 C 13.78677 -11.21969 8.57201
73 C 14.15124 -11.61818 7.31846
74 C 13.19138 -11.13356 6.40286
75 C 12.24167 -10.49720 7.16290
76 H 12.09429 -10.11502 9.25778
77 H 14.29218 -11.39660 9.50644
78 H 15.00118 -12.21518 7.02459
79 H 13.23592 -11.15085 5.32744
80 H 11.40140 -9.89805 6.84549
81 N 11.45888 -9.57561 15.20840
82 C 10.65348 -8.48370 15.09369
83 C 10.75674 -7.76976 16.26712
84 C 11.63189 -8.49883 17.11890
85 C 12.08980 -9.58499 16.41418
86 H 11.72901 -10.20265 14.46931
87 H 10.07771 -8.30130 14.20268
-- stop --
Nelson Mandela and most of his co- defendants pleaded guilty to planning sabotage, though he always maintained that human beings were not to become targets, or not until other means failed. He had, however, trained in weaponry and had studied the revolutions in Indonesia, Malaysia and Algeria. In his long statement to the court he said: 'I acknowledge that I made these studies to equip myself for the role which I might have to play if the strug- gle drifted into guerrilla warfare. I also made arrangements for our recruits to undergo military training.'
The prosecution and later apologists for the South African government tried in vain to prove that Mandela was a communist. He himself said: 'It is perhaps difficult for white South Africans with an ingrained pre- judice against communists to understand why experienced African politicians so readily accept communists as their friends, But to us the reason is obvious. Theoretical differences amongst those fighting against oppression is a luxury we cannot afford at this stage. What is more, for many decades communists were the only political group in South Africa who were prepared to treat Africans as human beings and their equals; who were prepared to eat with us, talk with us, live with us and work with us.'
The London Sunday Times suggested beforehand (6 October 1963) that the South African state was going to use the Rivonia trial as a propaganda exercise and rely on
faked documents. The Sunday Times was, as usual, wrong. No defendant at the trial denied the validity of the documents that implicated them. All except one man, who was cleared, admitted to charges of plan- ning, or having already committed, sabot- age. The only criticism of the trial came from government supporters such as a judge, H, H. W. de Villiers, (Rivonia, Afrikaanse Pers-Boekhandel, Johan- nesburg 1964) who said the defendants should have been charged with the more serious crime of high treason.
The Rand Daily Mail, which then as now was the main voice of resistance to apar- theid, said in an editorial (17 June 1964): 'The sentences pronounced by Mr Justice De Wet in Pretoria yesterday at the conclu- sion of the Pretoria trial were both wise and just. The law is seen at its best when there is firmness tinged with mercy, and this was the case yesterday. The sentences could not have been less severe than those passed. The men found guilty had organised sabotage on a wide scale and had plotted armed revolution. As the Judge pointed out, the crime of which they were found guilty was essentially high treason.' Public feeling turned still more against the Rivonia defen- dants when, a few weeks later, a left-wing white exploded a fire-bomb at the Johan- nesburg central station.
Mandela and the other blacks were sentenced to life, plus, in his case, five years for sentences he was already serving. Con- ditions at Robben Island are, by most ac- 'counts, worse than at Alcatraz if not quite as bad as Devil's Island. There is no heating in winter; beatings are common, though probably not for famous inmates like Mandela; the much vanted library is com- posed mostly of books of women's roman- tic literature, like Daphne du Maurier and Ethel M. Dell, which shows that the Afrikaners have either a finely developed sense of humour, or none.
Reading about the Rivonia trial, one comes away with a feeling of sadness that someone as brave and decent as Nelson Mandela should be in prison while most of the white communists have escaped, in- cluding Joe Slovo, believed to be an officer in the KGB, who is now in Angola. His estranged wife, Ruth First, whom I knew and rather admired, was murdered by letter-bomb in Mozambique, perhaps by the South African intelligence service. She was a diehard Stalinist but a brave woman. The Rivonia plotters and Bram Fischer were all betrayed by other white communists who had been bullied or blackmailed by the policemen of General van den Bergh. Perhaps the PAC were wiser than their rivals in ANC in not collaborating with the whites.
With reference to Richard West's article last week, Lord Longford wishes us to point out that he cannot recall having made the remark attributed to him and that, in any event, he has never in his life felt or ex- pressed anti-semitic sentiments.